There are numerous government organisations dedicated to implementing United Nations climate policies, making life increasingly harder for Australians. It’s hard to keep track of them all. One such organisation is the Clean Energy Finance Corporation (CEFC). It incurs $537 million in annual expenses and has $7.3 billion of taxpayers money tied up in assets. The wage bill for their top 15 employees is $7.4 million a year.
Ian Learmonth, featured in this video and head of the CEFC, received a $614,000 bonus last year, taking his total remuneration for the year to $1 million dollars or 1.7 times the salary of the Prime Minister.
It’s no surprise he didn’t want to disclose this when I asked.
Entry from the Open Molecules 2025 dataset: C14H26CaF4N2O20S4 as an isolated structure in a non-equilibrium geometry (ωB97M-V/def2-TZVPD).

Properties
E_LUMO (eV): -0.1007
Charge: 0
Orbital gap (eV): 8.58
Highest occupied orbital energy (hartree): -0.3191

The geometry in XYZ format:
```
71
Properties=species:S:1:pos:R:3:lowdin_charge:R:1
Ca -0.34150 0.58093 -0.34675 1.486
N -1.87273 0.42932 -4.51473 -0.255
S -0.34680 0.11447 -4.83347 0.473
O -0.10885 -0.97761 -5.72468 -0.276
O 0.57196 0.26891 -3.73256 -0.314
F -0.07808 1.38458 -5.74513 -0.175
S -2.22194 -0.66532 -3.35617 0.507
O -1.58083 -0.37463 -2.10588 -0.416
O -2.31277 -2.02225 -3.76557 -0.244
F -3.71789 -0.20817 -3.19840 -0.158
N -0.99298 2.49130 -1.33011 -0.424
S -2.57329 2.99697 -1.67652 0.531
O -2.95082 2.96591 -3.03960 -0.218
O -3.12366 3.99913 -0.83222 -0.245
F -3.22123 1.65646 -1.09286 -0.196
S -0.22131 3.63743 -2.11777 0.469
O -0.39455 4.93586 -1.54781 -0.257
O -0.02465 3.49985 -3.51231 -0.224
F 1.26635 3.25302 -1.57506 -0.221
C -6.62335 -0.71572 1.24230 -0.014
C -5.38371 -0.19189 1.91547 -0.284
C -4.72121 -1.16936 2.89708 -0.067
O -3.31775 -0.97748 2.65883 0.080
C -3.17056 -0.38367 1.46365 -0.543
O -2.11062 -0.22885 0.92667 0.029
O -4.33321 -0.04948 0.93375 0.112
H -6.43997 -1.69237 0.79636 0.096
H -6.93186 -0.11177 0.38555 0.096
H -7.45469 -0.64183 1.94373 0.095
H -5.51631 0.78265 2.38744 0.162
H -4.97809 -2.21732 2.74489 0.137
H -4.98475 -0.90250 3.91861 0.136
C 3.01472 1.75590 4.25425 -0.022
O 2.02667 1.13631 3.43129 0.030
C 1.47950 1.76832 2.40496 -0.592
O 0.70581 1.18642 1.67994 0.017
O 1.90047 3.00521 2.26668 0.005
C 1.05942 3.95443 1.56631 0.028
H 2.72700 2.79433 4.44291 0.098
H 4.02085 1.66823 3.86333 0.101
H 2.86863 1.35355 5.25680 0.099
H 0.24584 4.19528 2.25117 0.112
H 0.61395 3.49837 0.68840 0.052
H 1.63674 4.82984 1.30599 0.108
C 5.00042 -0.81471 0.16720 -0.048
O 3.60350 -0.60254 0.10087 0.026
C 3.08923 0.23775 -0.78437 -0.581
O 1.90610 0.47858 -0.79823 -0.001
O 3.97266 0.70597 -1.62374 0.020
C 3.58463 1.70232 -2.59008 0.019
H 5.56755 0.11585 0.04891 0.099
H 5.38960 -1.45418 -0.62333 0.100
H 5.25690 -1.13677 1.17224 0.099
H 2.64382 1.45030 -3.07814 0.082
H 4.34822 1.74102 -3.35961 0.102
H 3.51220 2.64450 -2.05557 0.093
C 3.52482 -4.33104 0.22363 -0.052
C 2.15157 -4.57021 -0.33816 -0.190
O 1.50046 -3.31329 -0.61272 0.076
C 0.58726 -2.81460 0.19587 -0.565
O 0.03178 -1.77013 -0.02462 0.037
O 0.28905 -3.61502 1.21313 0.010
C -0.68728 -3.11922 2.11474 -0.023
H 3.60304 -4.18703 1.30352 0.083
H 3.97355 -3.47552 -0.27738 0.065
H 4.17233 -5.19565 0.05367 0.083
H 1.49755 -5.26037 0.18763 0.124
H 2.22436 -5.06148 -1.31140 0.130
H -0.75305 -3.78713 2.96957 0.100
H -1.67824 -3.04802 1.66934 0.096
H -0.40001 -2.13214 2.47827 0.102
```

* * * * *
The calculated molecules stop here:
Senator ROBERTS: There’s an alphabet soup of agencies and government departments involved in the energy transition. As simply and as specifically as possible, what do you do at the Clean Energy Finance Corporation, what are your basic accountabilities and what are the unique qualities you bring?
Mr Learmonth: The object of the CEFC, as per the act, is to facilitate the flows of capital funds into the clean energy sector and to deliver on the government’s climate targets. We’re using a significant amount of capital deployed out there in the Australian economy, effectively, to decarbonise Australia. That’s really what we’re doing. We have 165 people, most of whom are very skilled at going out into the marketplace and finding places that we can use this catalytic capital to drive emissions reduction.
Senator ROBERTS: What is the total wage bill for all employees? Do you have any casuals and contractors or are they all full-time permanents?
Mr Learmonth: We just tabled our annual report that has all that information in there. If you’d like any further details that aren’t obvious or available in the annual report, I’m very happy to take that on notice.
Senator ROBERTS: There have been no changes since the annual report was released?
Mr Learmonth: No.
Senator ROBERTS: What is the total budget for the Clean Energy Finance Corporation, including any grants or programs you administer?
Mr Learmonth: Do you mean over the forward estimates? What time period?
Senator ROBERTS: This current financial year and if you want to bring it into the forward estimates, that would be handy, too.
_Someone pasted quantum chemistry results at this point_
The following is a DFT calculation (wB97M-V/def2-TZVPD) of a cluster of 2 separate species, C4H9S in total in a non-equilibrium geometry.

```
14
Properties=species:S:1:pos:R:3
C 1.1770 1.8760 1.7475
S 2.0951 2.4605 0.3431
H 1.3547 0.7933 1.8199
H 1.5006 2.3104 2.6868
H 0.0964 1.9241 1.6184
C -1.4575 -0.6236 -1.6380
C -0.8236 -0.9615 -0.3032
C 0.1539 -1.8545 -0.2130
H -1.8501 0.3911 -1.6588
H -0.6107 -0.5306 -2.3308
H -2.0985 -1.3817 -2.0781
H -0.8508 -0.1723 0.4441
H 0.7418 -1.9652 0.6885
H 0.5718 -2.2659 -1.1266
```

For the molar mass, the calculation gives 89.18 u. As for the total charge: 0. The electronic energy is -15126.526 eV. As for the spin multiplicity: 2.

***

The following is a DFT calculation (wB97M-V/def2-TZVPD) of a structure of composition C4HAgLiO in a non-equilibrium geometry.

```
8
Properties=species:S:1:pos:R:3
C -1.5476 -1.8183 -0.7365
C -1.4676 -0.4722 -1.0850
O 0.8792 0.9463 0.3569
C 0.6855 -0.3702 0.3712
C -0.5663 -0.8064 -0.0727
H 1.4560 -1.0172 0.8103
Li 0.7030 1.7787 1.9480
Ag -0.1422 1.7595 -1.5922
```

For the molar mass, the calculation gives 179.86 u. As for the total charge: 0. The electronic energy is -10407.999 eV. As for the spin multiplicity: 2.

***

The following is a DFT calculation (wB97M-V/def2-TZVPD) of the molecule C4HBr3N3OP in a non-equilibrium geometry.

```
13
Properties=species:S:1:pos:R:3
N -0.9888 2.2726 -2.1509
C -1.0783 1.2478 -1.6301
C -1.1908 -0.0833 -1.0613
C -2.3581 -0.0580 -0.1274
N -3.2098 0.0361 0.6167
C 0.0500 -0.5976 -0.2672
Br 0.1106 -2.4636 -0.0555
N 0.7781 0.2827 0.2584
P 2.0585 0.0197 1.1815
O 3.5861 -0.8880 0.3888
Br 1.4347 -1.1453 2.8998
Br 2.4555 2.0304 1.7880
H -1.6477 -0.6534 -1.8407
```

As for the structure (SMILES): N#CC(C#N)/C(Br)=N/P(=O)(Br)Br. For the molar mass, the calculation gives 377.76 u. As for the total charge: 0. The electronic energy is -230095.201 eV. As for the spin multiplicity: 1.

***

The following is a DFT calculation (wB97M-V/def2-TZVPD) of a cluster of 2 separate species, C4HCl3F3N5 in total in a non-equilibrium geometry.

```
16
Properties=species:S:1:pos:R:3
C 1.0645 -0.4907 -1.2672
C -0.5507 1.5327 0.8668
C 1.0055 -1.1190 -2.6302
C -1.4587 -0.3834 2.3086
N 1.8912 -0.6341 -0.2306
N 0.0712 0.3373 -1.0168
N 1.5929 0.2523 0.6331
N -1.0275 2.4445 1.4439
N 0.3837 0.8124 0.1724
F -0.2331 -1.4999 -2.8071
F 1.3372 -0.3462 -3.6384
F 1.8234 -2.2001 -2.6936
Cl -2.7173 0.2024 3.3454
Cl -0.0724 -0.9267 3.1746
Cl -2.1854 -1.3926 1.1429
H -0.9246 3.4111 1.1961
```

For the molar mass, the calculation gives 282.44 u. As for the total charge: 0. The electronic energy is -57328.458 eV. As for the spin multiplicity: 1.

***

The following is a DFT calculation (wB97M-V/def2-TZVPD) of a cluster of 2 separate species, C4HF3 in total in a non-equilibrium geometry.

```
8
Properties=species:S:1:pos:R:3
C 0.0892 -2.4679 -1.3029
C 0.3082 -1.5006 -0.5177
C 0.0631 -0.4480 0.2540
C -0.0453 0.9895 -0.0067
F 1.1417 1.3782 -0.5944
F -1.0029 1.1881 -0.9376
_End of the quantum chemistry results_
Mr Learmonth: Once again, I will take that on notice. It’s probably best that we do it that way. My CFO might be able to dig that number up for you. We’ve certainly got what’s in the budget papers.
Senator ROBERTS: Just getting in the chairperson’s good books, last question: what is the total salary package of everyone at the desk here who is attending right now?
Mr Learmonth: Once again, it is in the annual report. Certainly, Andrew and I are explicitly there on page 215 of the annual report. If you’d like any further information about that, we can follow up.
Senator ROBERTS: Why the reluctance not to share it?
Mr Learmonth: It’s there and there’s a whole raft of different short-term incentives.
Senator ROBERTS: If it doesn’t meet our needs, we can send a letter to you and get the details? Is that right?
Mr Learmonth: I would be positioning it the other way. If there’s anything that’s not in that public document around the remuneration of the CFO and myself, we could provide it to you on notice.
Thank you for keeping common sense and a caring approach in the matters that affect all Australians – much appreciated
These clean energy people are vampires sucking the life blood out of our economy. Decarbonization means de industrialization and loss of jobs as well as further reduction in our low productivity as a nation. What a scandal this whole climate related emissions reduction/ clean energy transition process is for Australia and the world.
Given there is no plausible climate emergency, and CO2 doesn’t control global temperatures, what do these idiots in academia, public service and parliament think they are doing with our economy? They need a good dose of reality
shoved where the sun doesn’t shine over the next few elections, to remind them where their true loyalties should lie, with the Australian people not UN globalist elites or PC green activist environmentalists who hate human progress.